Protocol against sexual harassment
In this document, we as Fight Game Academy have laid down how, by encouraging desired behaviour and avoiding risk situations, we try to prevent sexual harassment within the club. Next, we will discuss how we deal with situations in which this does happen/threatens to happen. Finally, we will elaborate on what sanctions are possible if a situation does not come to a resolution.
Promoting desirable interaction
It is very important for budokas to feel safe in their sports environment. This includes not allowing them to feel sexually harassed. To minimise the risk of this, we have drawn up a number of rules of engagement. These rules can be found below.
- I accept and respect others as they are and do not discriminate. Everyone counts within the club.
- I take into account the limits set by the other person.
- I do not bother the other person.
- I do not harm the other person.
- I do not abuse my position of power in any way.
- I do not swear or make mean jokes or comments about others.
- I do not ignore the other person.
- I do not participate in bullying, making fun of or gossiping.
- I do not fight, I do not use violence, I do not threaten the other person, I do not take weapons.
[Attached: calculated crystals]
[1]
Ba2ZnCdS2O2: computed PXRD pattern (Cu Kα (weighted mean of Kα1 and Kα2)), based on a GGA-PBE-relaxed structure.
Peak positions follow from Bragg's law for the DFT cell and can differ from measured ones.

Crystal structure
abc: 4.154 4.154 12.358
angles: 90.00 90.00 120.00
Sites, in units of the cell vectors:
1 Ba 0.000 0.000 0.000
2 Ba 0.333 0.667 0.519
3 Zn 0.667 0.333 0.741
4 Cd 0.667 0.333 0.244
5 S 0.000 0.000 0.322
6 S 0.333 0.667 0.802
7 O 0.667 0.333 0.069
8 O 0.667 0.333 0.587

Most intense lines, 2θ from 10° to 90°, by intensity:
| 2θ/deg | I/Imax |
| --- | --- |
| 28.7 | 1000 |
| 25.8 | 821 |
| 33.1 | 666 |
| 43.6 | 599 |
| 53.1 | 423 |
| 28.9 | 400 |
| 51.1 | 309 |
| 53.0 | 179 |



[2]
Ba5Cd2Sb4O2: computed PXRD pattern (Cu Kα (weighted mean of Kα1 and Kα2)), based on a GGA-PBE-relaxed structure.
Peak positions follow from Bragg's law for the DFT cell and can differ from measured ones.

Crystal structure
abc: 9.048 9.048 12.346
angles: 130.61 130.61 31.94
Sites, in units of the cell vectors:
1 Ba 0.000 0.000 0.000
2 Ba 0.026 0.026 0.703
3 Ba 0.299 0.299 0.650
4 Ba 0.701 0.701 0.350
5 Ba 0.974 0.974 0.297
6 Cd 0.261 0.261 0.122
7 Cd 0.739 0.739 0.878
8 Sb 0.366 0.366 0.010
9 Sb 0.393 0.393 0.434
10 Sb 0.607 0.607 0.566
11 Sb 0.634 0.634 0.990
12 O 0.129 0.129 0.313
13 O 0.871 0.871 0.687

Most intense lines, 2θ from 10° to 90°, by intensity:
| 2θ/deg | I/Imax |
| --- | --- |
| 27.5 | 1000 |
| 28.1 | 753 |
| 31.6 | 721 |
| 36.1 | 599 |
| 30.7 | 524 |
| 30.9 | 440 |
| 48.7 | 300 |
| 47.2 | 282 |



[3]
BaCdTeO: computed PXRD pattern (Cu Kα (weighted mean of Kα1 and Kα2)), based on a GGA-PBE-relaxed structure.
Peak positions follow from Bragg's law for the DFT cell and can differ from measured ones.

Crystal structure
abc: 7.841 7.841 6.938
angles: 90.00 90.00 146.61
Sites, in units of the cell vectors:
1 Ba 0.144 0.856 0.500
2 Ba 0.856 0.144 0.000
3 Cd 0.443 0.557 0.387
4 Cd 0.557 0.443 0.887
5 Te 0.162 0.838 0.002
6 Te 0.838 0.162 0.502
7 O 0.435 0.565 0.063
8 O 0.565 0.435 0.563

Most intense lines, 2θ from 10° to 90°, by intensity:
| 2θ/deg | I/Imax |
| --- | --- |
| 26.6 | 1000 |
| 37.3 | 592 |
| 25.7 | 535 |
| 33.1 | 289 |
| 40.0 | 269 |
| 29.6 | 263 |
| 46.9 | 234 |
| 54.2 | 226 |



[4]
Ba2CdOsSe6: computed PXRD pattern (Cu Kα (weighted mean of Kα1 and Kα2)), based on a GGA-PBE-relaxed structure.
Peak positions follow from Bragg's law for the DFT cell and can differ from measured ones.

Crystal structure
abc: 6.375 7.051 7.491
angles: 71.02 65.82 63.94
Sites, in units of the cell vectors:
1 Ba 0.243 0.278 0.233
2 Ba 0.757 0.722 0.767
3 Cd 0.000 0.000 0.000
4 Os 0.500 0.500 0.500
5 Se 0.177 0.770 0.342
6 Se 0.264 0.644 0.833
7 Se 0.314 0.218 0.660
8 Se 0.686 0.782 0.340
9 Se 0.736 0.356 0.167
10 Se 0.823 0.230 0.658

Most intense lines, 2θ from 10° to 90°, by intensity:
| 2θ/deg | I/Imax |
| --- | --- |
| 35.3 | 1000 |
| 35.6 | 335 |
| 40.3 | 292 |
| 25.6 | 289 |
| 25.3 | 282 |
| 24.1 | 274 |
| 24.5 | 259 |
| 27.8 | 232 |
[Back to the page]
- I do not get too close unwanted and do not touch the other person against their will.
(1)
Calculated powder diffractogram
Compound: PmGdAlTl
Radiation: Cu Kα
Structure: the PBE geometry in Alexandria
Peak positions follow from Bragg's law for the DFT cell and can differ from measured ones.

Structure:
a b c (Å): 7.541 7.541 7.541
angles (deg): 90.00 90.00 90.00
Space group F-43m (No. 216)
Symmetry-distinct sites (fractional):
Pm1 0.000 0.000 0.000 [4 per cell]
Gd1 0.000 0.000 0.500 [4 per cell]
Al1 0.250 0.250 0.250 [4 per cell]
Tl1 0.250 0.250 0.750 [4 per cell]

Largest 10 diffraction maxima, by angle, 10 to 90 degrees two-theta:
| (hkl) | 2theta | intensity |
| --- | --- | --- |
| 1 1 1 | 20.40 | 24 |
| 2 2 0 | 33.61 | 100 |
| 3 1 1 | 39.64 | 14 |
| 4 0 0 | 48.27 | 18 |
| 3 3 1 | 52.92 | 6 |
| 4 2 2 | 60.11 | 38 |
| 5 1 1 | 64.17 | 5 |
| 4 4 0 | 70.66 | 12 |
| 5 3 1 | 74.43 | 4 |
| 6 2 0 | 80.56 | 17 |

(2)
Calculated powder diffractogram
Compound: ErMnCuGe2
Radiation: Cu Kα
Structure: the PBE geometry in Alexandria
Peak positions follow from Bragg's law for the DFT cell and can differ from measured ones.

Structure:
a b c (Å): 4.028 4.028 10.613
angles (deg): 90.00 90.00 90.00
Space group I-4m2 (No. 119)
Symmetry-distinct sites (fractional):
Er1 0.000 0.000 0.000 [2 per cell]
Mn1 0.000 0.500 0.250 [2 per cell]
Cu1 0.000 0.500 0.750 [2 per cell]
Ge1 0.000 0.000 0.383 [4 per cell]

Largest 10 diffraction maxima, by angle, 10 to 90 degrees two-theta:
| (hkl) | 2theta | intensity |
| --- | --- | --- |
| 1 1 0 | 31.41 | 27 |
| 1 0 3 | 33.72 | 89 |
| 1 1 2 | 35.78 | 100 |
| 2 0 0 | 45.01 | 54 |
| 1 0 5 | 48.47 | 39 |
| 2 1 3 | 57.40 | 41 |
| 2 2 0 | 65.54 | 17 |
| 2 1 5 | 68.29 | 28 |
| 3 1 2 | 76.98 | 20 |
| 2 0 8 | 88.18 | 15 |

(3)
Calculated powder diffractogram
Compound: Na5B7C3
Radiation: Cu Kα
Structure: the PBE geometry in Alexandria
Peak positions follow from Bragg's law for the DFT cell and can differ from measured ones.

Structure:
a b c (Å): 17.885 2.833 13.368
angles (deg): 90.00 113.23 90.00
Space group Cm (No. 8)
Symmetry-distinct sites (fractional):
Na1 0.000 0.000 0.000 [2 per cell]
Na2 0.000 0.000 0.495 [2 per cell]
Na3 0.099 0.500 0.199 [2 per cell]
Na4 0.100 0.500 0.697 [2 per cell]
Na5 0.198 0.000 0.396 [2 per cell]
Na6 0.202 0.000 0.897 [2 per cell]
Na7 0.298 0.500 0.595 [2 per cell]
Na8 0.302 0.500 0.098 [2 per cell]
Na9 0.398 0.000 0.799 [2 per cell]
Na10 0.402 0.000 0.296 [2 per cell]
B1 0.035 0.000 0.817 [2 per cell]
B2 0.067 0.500 0.379 [2 per cell]
B3 0.074 0.500 0.895 [2 per cell]
B4 0.141 0.500 0.030 [2 per cell]
B5 0.163 0.000 0.573 [2 per cell]
B6 0.232 0.000 0.212 [2 per cell]
B7 0.260 0.500 0.767 [2 per cell]
B8 0.323 0.500 0.393 [2 per cell]
B9 0.332 0.500 0.913 [2 per cell]
B10 0.364 0.000 0.475 [2 per cell]
B11 0.373 0.000 0.994 [2 per cell]
B12 0.428 0.000 0.603 [2 per cell]
B13 0.469 0.500 0.186 [2 per cell]
B14 0.470 0.500 0.688 [2 per cell]
C1 0.035 0.000 0.315 [2 per cell]
C2 0.131 0.500 0.509 [2 per cell]
C3 0.169 0.000 0.088 [2 per cell]
C4 0.228 0.000 0.704 [2 per cell]
- I do not give the other person unwanted sexual attention.
- I do not ask inappropriate questions or make unwelcome comments about someone's personal life or appearance.
- If someone annoys or bothers me, I ask him/her to stop. If that does not help, I ask someone else for help.
- I help others to abide by these agreements as well and speak to those who do not abide by them and report this to the board if necessary.
_Records of crystals from another source follow_
# Pm4Sm2DySc
Theoretical XRD peak list, Cu Kα, 1.54184 Å. Input: a structure optimized by DFT (PBE).
Neutral-atom scattering factors, no anomalous dispersion.

Most intense lines, 10 to 80 degrees two-theta, low angle first:
(1 0 1), 19.57°, rel. 2.2
(1 1 2), 30.57°, rel. 100.0
(0 2 0), 35.26°, rel. 17.1
(2 0 0), 35.37°, rel. 17.0
(0 0 4), 35.70°, rel. 16.4
(2 2 0), 50.80°, rel. 12.1
(0 2 4), 51.07°, rel. 17.7
(2 0 4), 51.15°, rel. 5.9
(1 3 2), 60.38°, rel. 14.3
(3 1 2), 60.54°, rel. 14.2
(1 1 6), 60.97°, rel. 13.7
(2 2 4), 63.63°, rel. 12.2

Atomic structure:
a b c (Å): 5.075 5.091 10.061
angles (deg): 90.00 90.04 90.00
Space group P2/m (No. 10)
Unique sites:
Pm (0.000, 0.000, 0.245) [2 per cell]
Pm (0.500, 0.500, 0.246) [2 per cell]
Sm (0.000, 0.500, 0.000) [1 per cell]
Sm (0.500, 0.000, 0.500) [1 per cell]
Dy (0.000, 0.500, 0.500) [1 per cell]
The above rules are already made known to all our members upon registration and they must agree to them before they can become members.
Besides the general rules of manners, we also apply additional rules for trainers, coaches and others who play an active role around youth budoka (hereafter: 'supervisors').
These are the following rules:
- The supervisor must provide an environment and atmosphere in which the budoka can feel safe.
- The coach shall refrain from treating the budoka in a way that affects the budoka's dignity and from intruding further into the budoka's private life than is necessary within the framework of the sport practice.
- The coach shall refrain from any form of (power) abuse or Sexual Harassment towards the budoka.
- Sexual acts and sexual relations between the supervisor and the youth budoka up to sixteen years of age are not permissible under any circumstances and are considered Sexual Abuse.
- The chaperone may not touch the budoka in such a way that the budoka and/or the chaperone can reasonably be expected to perceive this touch as sexual or erotic in nature, as will usually be the case when deliberately touching (or having touched) genitals, buttocks and breasts.
- The supervisor shall refrain from (verbal) sexual intimacies through any means of communication.
- During training(s), competitions and travel, the supervisor shall treat the budoka and the space in which he/she is, such as the changing room or hotel room, with respect and reserve.
- The supervisor has a duty - as far as it is in his/her power - to protect the budoka from harm and (power) abuse as a result of Sexual Harassment. Where it is known or regulated who looks after the interests of the (young) budoka, the supervisor is obliged to cooperate with these persons or bodies so that they can perform their work properly.
- The supervisor will not give the budoka any (im)material compensation with the apparent intention of asking for quid pro quo. Nor will the supervisor accept any financial reward or gifts from the budoka that are disproportionate to the usual or agreed fee.
- Supervisor will actively ensure that these rules are observed by everyone involved with the budoka. If the supervisor observes behaviour that is not in accordance with these rules of conduct, he will take the necessary action(s).
- In cases not (directly) covered by these rules, it is the supervisor's responsibility to act in the spirit of these rules.
We also require all supervisors to submit a Certificate of Good Conduct (VOG).
Resolving situations of sexual harassment
If a situation arises where a member still feels sexually harassed, they can contact Sem Schilt or the martial arts authority's confidential contact person (VCP). This can be reached via:
Some of the sanctions are external to the club, such as prosecution for violation of articles of the Penal Code. However, internal sanctions may be imposed by the board after consultation with the VCP. In doing so, the board puts the collective interest of its members above any individual interest of a member.